04 May 2020
The humankind is currently witnessing the disastrous effect of COVID-19 on the socio-economic balance of the world. It has toppled economic growth and has risked the lives of millions. The tradeoff between the health of masses and industrial activities has been detrimental to the economy. While no respite seems plausible in the coming months, economists, industrialists are dealing with the challenging task of demand creation, above all, economic revival.

India has entered the third phase of lockdown from May 4, 2020, with relaxed norms for industrial activities that come with necessary riders to contain the spread. The Confederation of Indian Industry (CII) is working to mitigate the economic impact to save businesses from the catastrophe and safeguard livelihoods of millions. It recently conducted a CEO Snap Poll to assess the impact of COVID-19 on the economy and industry. The survey saw the participation of more than 300 CEOs, of which nearly two-thirds belonged to MSMEs.
About two-thirds of the respondents expect revenues to fall more than 40 per cent in the April-June 2020 quarter, while for FY21, the expectations of a fall in revenue are staggered, with 33 per cent of the firms anticipating a revenue fall of more than 40 per cent, closely followed by 32 per cent of firms expecting a revenue contraction ranging between 20 per cent to 40 per cent.

Source: CII CEO Snap Poll
The poll also tried to identify key constraints faced by the businesses. Nearly 75 per cent of the respondents identified the complete shutdown of the operations as the major constraint, followed by 53.1 per cent for lack of demand for products.

## Misplaced crystal structures
<<<
For Li9Co7O16, a crystal structure in the Materials Project, relaxed with PBE+U gives the simulated powder XRD pattern in this record (Cu Kα, 1.54184 Å).
No peak broadening, texture or thermal motion is included.

Structure:
Unit cell a=5.0807 b=7.6513 c=7.7356 alpha=82.49 beta=84.18 gamma=71.71
Space group P-1 (No. 2)
Asymmetric unit:
Li  0.0000  0.0000  0.0000
Li  0.4916  0.0598  0.8158
Li  0.4933  0.8158  0.5617
Li  0.4959  0.6922  0.9382
Li  0.4966  0.5624  0.3157
Co  0.0000  0.5000  0.5000
Co  0.0013  0.8755  0.3698
Co  0.0017  0.7573  0.7541
Co  0.0065  0.3723  0.8772
O  0.2161  0.4200  0.2705
O  0.2166  0.5318  0.9169
O  0.2184  0.7698  0.1651
O  0.2279  0.1783  0.0210
O  0.2316  0.2887  0.6695
O  0.2316  0.6537  0.5298
O  0.2332  0.0385  0.4104
O  0.2387  0.8984  0.7768

The 12 most intense peaks (10° ≤ 2θ ≤ 80°), sorted by position:
hkl, 2θ/deg, Rel. int.
1 0 0, 18.43, 100
0 2 -2, 35.93, 14
0 1 3, 36.09, 14
1 3 1, 36.52, 13
1 -2 2, 43.53, 28
-1 1 3, 43.65, 27
2 3 1, 44.24, 26
-1 3 1, 47.87, 9
-2 3 1, 63.32, 15
0 1 -5, 63.46, 15
1 5 -1, 64.11, 7
1 4 4, 64.43, 7


# Cs2CaTcO6
Theoretical PXRD pattern, a wavelength of 1.5418 Å. Input: a cell relaxed with GGA-PBE.

Most intense lines, 2θ = 5–70°, sorted by position:
- 2θ 15.05, intensity 54.1, (0 0 1)
- 2θ 21.54, intensity 63.9, (1 0 1)
- 2θ 26.70, intensity 100.0, (1 1 0)
- 2θ 30.79, intensity 38.6, (1 1 1)
- 2θ 34.17, intensity 45.4, (0 1 2)
- 2θ 34.56, intensity 43.6, (0 2 1)
- 2θ 43.89, intensity 38.3, (2 0 2)
- 2θ 47.15, intensity 18.3, (3 0 0)
- 2θ 52.12, intensity 31.5, (1 2 2)
- 2θ 55.01, intensity 17.3, (2 2 0)

Crystal structure
abc: 6.6770 6.6770 5.8884
angles: 90.00 90.00 120.00
Space group P-3m1 (No. 164)
One atom of each set of equivalent atoms:
Cs: 0.3333 0.6667 0.1508 x2
Ca: 0.0000 0.0000 0.5000 x1
Tc: 0.0000 0.0000 0.0000 x1
O: 0.1315 0.2631 0.8062 x6


1.
AlGaHgTe2S2: calculated X-ray powder pattern (a wavelength of 1.5418 Å), based on a GGA-PBE-relaxed structure.

Top 10 peaks for 10 to 90 degrees two-theta, sorted by position:
hkl 1 0 0, 2θ = 16.85°, d 5.261, intensity 76
hkl 1 -1 0, 2θ = 20.88°, d 4.253, intensity 50
hkl 1 1 -1, 2θ = 21.10°, d 4.210, intensity 50
hkl 1 1 0, 2θ = 25.86°, d 3.445, intensity 100
hkl -1 1 1, 2θ = 25.99°, d 3.429, intensity 91
hkl 1 -1 1, 2θ = 26.69°, d 3.340, intensity 70
hkl 1 1 -2, 2θ = 27.15°, d 3.284, intensity 74
hkl 2 0 -2, 2θ = 34.54°, d 2.596, intensity 46
hkl 2 -2 0, 2θ = 42.51°, d 2.127, intensity 44
hkl 2 2 -2, 2θ = 42.97°, d 2.105, intensity 44

Structure:
abc: 5.915 6.067 6.833
angles: 113.26 114.58 90.54
Space group P1 (No. 1)
Symmetry-distinct sites (fractional):
Al  0.000  0.000  0.000
Ga  0.209  0.777  0.493
Hg  0.721  0.261  0.513
Te  0.581  0.661  0.797
Te  0.829  0.387  0.201
S  0.104  0.095  0.752
S  0.316  0.883  0.246

***

2.
K3Cu2Bi5S10: calculated X-ray powder pattern (a wavelength of 1.5418 Å), based on a GGA-PBE-relaxed structure.

Top 10 peaks for 10 to 90 degrees two-theta, sorted by position:
>>>

Source: CII CEO Snap Poll
45 per cent of the respondents felt that it would take more than a year to bring back the economy on track, while 34 per cent expected their own company to recover in 6-12 months timeframe.

Source: CII CEO Snap Poll
Boosting demand in current circumstances is a major challenge before the country. Nearly 37 per cent of the respondents believe the domestic demand to hit normalcy in 6-12 months, while the same confidence for export orders is sluggish, with 41 per cent expecting it to take more than a year to recover.

Source: CII CEO Snap Poll
Securing livelihoods is the prime concern for the country. More than half of the CEOs anticipate job losses in their respective sectors, post lockdown, with nearly 45 per cent expecting 15-30 per cent job cuts.

Misplaced data records >
+++
# 1
# Nd2Ni4Ge3Au
Calculated powder X-ray diffraction pattern, a wavelength of 1.5418 Å. Input: DFT lattice parameters and positions (GGA-PBE).
No peak broadening, texture or thermal motion is included.

Top 10 peaks for 5° ≤ 2θ ≤ 70°, by angle:
hkl 1 0 1, 2θ 22.95, I = 13; hkl 1 0 3, 2θ 34.89, I = 48; hkl 1 1 2, 2θ 35.26, I = 100; hkl 2 0 0, 2θ 42.81, I = 55; hkl 1 1 4, 2θ 48.27, I = 12; hkl 1 0 5, 2θ 51.75, I = 17; hkl 2 1 3, 2θ 56.37, I = 24; hkl 2 2 0, 2θ 62.15, I = 20; hkl 1 1 6, 2θ 65.53, I = 14; hkl 2 1 5, 2θ 69.34, I = 15

Crystal structure
Unit cell a=4.2251 b=4.2251 c=9.7230 alpha=90.00 beta=90.00 gamma=90.00
Space group P-4m2 (No. 115)
One atom of each set of equivalent atoms:
Nd1 0.0000 0.5000 0.2464 [2 per cell]
Ni1 0.0000 0.0000 0.0000 [1 per cell]
Ni2 0.0000 0.5000 0.6400 [2 per cell]
Ni3 0.5000 0.5000 0.0000 [1 per cell]
Ge1 0.0000 0.5000 0.8799 [2 per cell]
Ge2 0.5000 0.5000 0.5000 [1 per cell]
Au1 0.0000 0.0000 0.5000 [1 per cell]


# 2
# AgBr2Cl8
Calculated powder X-ray diffraction pattern, a wavelength of 1.5418 Å. Input: DFT lattice parameters and positions (GGA-PBE).
No peak broadening, texture or thermal motion is included.

Top 10 peaks for 5° ≤ 2θ ≤ 70°, by angle:
hkl 1 1 -1, 2θ 16.06, I = 100; hkl 0 2 0, 2θ 21.22, I = 29; hkl 2 0 1, 2θ 22.10, I = 19; hkl 0 0 2, 2θ 24.21, I = 26; hkl 0 2 1, 2θ 24.47, I = 19; hkl 1 1 2, 2θ 29.62, I = 21; hkl 2 2 1, 2θ 30.83, I = 40; hkl 4 2 -1, 2θ 36.22, I = 16; hkl 4 2 -3, 2θ 45.64, I = 15; hkl 5 3 -2, 2θ 50.93, I = 15

Crystal structure
Unit cell a=12.3686 b=8.3722 c=7.7384 alpha=90.00 beta=108.10 gamma=90.00
Space group C2/m (No. 12)
One atom of each set of equivalent atoms:
Ag1 0.0000 0.0000 0.0000 [2 per cell]
Br1 0.1660 0.5000 0.5894 [4 per cell]
Cl1 0.0279 0.5000 0.7363 [4 per cell]
Cl2 0.1399 0.1958 0.0669 [8 per cell]
Cl3 0.1987 0.0000 0.5563 [4 per cell]


# 3
# Cu2Si2Sb
Calculated powder X-ray diffraction pattern, a wavelength of 1.5418 Å. Input: DFT lattice parameters and positions (GGA-PBE).
No peak broadening, texture or thermal motion is included.

Top 10 peaks for 5° ≤ 2θ ≤ 70°, by angle:
hkl 1 1 0, 2θ 16.05, I = 25; hkl 2 1 0, 2θ 25.51, I = 21; hkl 2 2 0, 2θ 32.43, I = 37; hkl 3 1 0, 2θ 36.39, I = 100; hkl 1 1 1, 2θ 37.29, I = 31; hkl 2 0 1, 2θ 40.84, I = 59; hkl 2 1 1, 2θ 42.52, I = 55; hkl 4 1 0, 2θ 48.04, I = 12; hkl 4 2 0, 2θ 52.40, I = 17; hkl 3 3 1, 2θ 61.08, I = 25

Crystal structure
Unit cell a=7.8082 b=7.8082 c=2.6802 alpha=90.00 beta=90.00 gamma=90.00
Space group P4/mbm (No. 127)
One atom of each set of equivalent atoms:
Cu1 0.1687 0.3313 0.0000 [4 per cell]
Si1 0.1214 0.6214 0.5000 [4 per cell]
Sb1 0.0000 0.0000 0.5000 [2 per cell]


# 4
# Ce5Ge2Ir2
Calculated powder X-ray diffraction pattern, a wavelength of 1.5418 Å. Input: DFT lattice parameters and positions (GGA-PBE).
No peak broadening, texture or thermal motion is included.

Top 10 peaks for 5° ≤ 2θ ≤ 70°, by angle:
+++

Source: CII CEO Snap Poll
In a sign of relief for employees, two-thirds of the respondents have not experienced a salary/wage cut in their firms, while nearly 49 per cent of the firms who have witnessed a wage cut said the period of wage cut is ‘undecided.’

(Materials data, kept here for reference)
=====
(1)
# NaCr2FeO10
Calculated XRD peak list, copper Kα. Input: a DFT-relaxed cell (GGA+U, Alexandria).

Structural model:
Cell: 8.6106 8.6106 10.3311 Å, 118.10 118.10 37.39°
Element x y z (fractional)
Na 0.1857 0.8143 0.7500
Na 0.8143 0.1857 0.2500
Cr 0.1654 0.6259 0.0154
Cr 0.3741 0.8346 0.4846
Cr 0.6259 0.1654 0.5154
Cr 0.8346 0.3741 0.9846
Fe 0.0000 0.5000 0.5000
Fe 0.5000 0.0000 0.0000
O 0.0627 0.4980 0.7246
O 0.1088 0.2244 0.9595
O 0.1258 0.6226 0.8238
O 0.2030 0.7832 0.3865
O 0.2168 0.7970 0.1135
O 0.2244 0.1088 0.4595
O 0.3231 0.4206 0.5504
O 0.3774 0.8742 0.6762
O 0.4206 0.3231 0.0504
O 0.4980 0.0627 0.2246
O 0.5020 0.9373 0.7754
O 0.5794 0.6769 0.9496
O 0.6226 0.1258 0.3238
O 0.6769 0.5794 0.4496
O 0.7756 0.8912 0.5405
O 0.7832 0.2030 0.8865
O 0.7970 0.2168 0.6135
O 0.8742 0.3774 0.1762
O 0.8912 0.7756 0.0405
O 0.9373 0.5020 0.2754

Principal peaks in the range 2θ = 5–70°, by angle:
Position (°2θ)	d/Å	Rel. int.
17.4	5.103	10
19.8	4.482	38
23.0	3.872	100
30.1	2.965	19
30.9	2.896	18
32.4	2.762	34
35.5	2.529	14
40.2	2.241	10
46.9	1.936	10
47.5	1.915	12

=====

(2)
# NaCr2FeO10
Calculated XRD peak list, copper Kα. Input: a DFT-relaxed cell (GGA+U, Alexandria).

Structural model:
Cell: 5.8875 5.8875 7.0154 Å, 97.54 97.54 57.04°
Element x y z (fractional)
Na 0.0000 0.0000 0.0000
Cr 0.3680 0.3680 0.1985
Cr 0.6320 0.6320 0.8015
Fe 0.0000 0.0000 0.5000
O 0.1955 0.1955 0.4417
O 0.1952 0.6907 0.2846
O 0.1990 0.1990 0.2480
O 0.3093 0.8048 0.7154
O 0.3478 0.3478 0.9668
O 0.6522 0.6522 0.0332
O 0.6907 0.1952 0.2846
O 0.8010 0.8010 0.7520
O 0.8048 0.3093 0.7154
O 0.8045 0.8045 0.5583

Principal peaks in the range 2θ = 5–70°, by angle:
Position (°2θ)	d/Å	Rel. int.
20.0	4.446	36
22.9	3.887	100
30.4	2.937	22
30.7	2.916	23
31.8	2.811	26
32.6	2.745	11
35.6	2.525	14
46.7	1.943	15
47.3	1.923	19
51.7	1.770	8

=====

Diffraction record for MgH6CO6. The X-ray diffraction stick pattern is computed, not measured: it uses a DFT-relaxed cell (GGA-PBE, Alexandria) and a wavelength of 1.5418 Å.
Lines closer than 0.1° are merged.

Top 6 peaks for 10 to 80 degrees two-theta, in order of rising 2θ:
(1 0 -2), 13.74°, intensity 79; (2 0 -2), 22.82°, intensity 100; (0 1 3), 27.85°, intensity 34; (0 2 1), 33.68°, intensity 66; (3 0 -4), 35.55°, intensity 36; (4 0 -4), 46.62°, intensity 32

Cell and atoms:
a b c (Å): 7.7957 5.4607 14.0416
angles (deg): 90.00 122.34 90.00
Space group P2_1/c (No. 14)
Asymmetric unit:
Mg1 0.1119 0.0826 0.3535 x4
H1 0.1730 0.6370 0.0812 x4
H2 0.2804 0.5925 0.2129 x4
H3 0.3688 0.1223 0.0878 x4
H4 0.3914 0.1750 0.2067 x4
H5 0.4210 0.5767 0.8336 x4
H6 0.4958 0.1642 0.4034 x4
C1 0.1772 0.6308 0.4141 x4
O1 0.0694 0.6972 0.3091 x4
O2 0.1484 0.5835 0.1405 x4
O3 0.2140 0.0942 0.9457 x4
O4 0.2497 0.6890 0.9870 x4
O5 0.3700 0.0875 0.3401 x4
O6 0.4681 0.1620 0.1695 x4

=====

1.
Structure and calculated XRD peak list of Ce4Bi3O4 (a DFT-relaxed cell (PBE, Alexandria); Cu Kα X-rays).
Neutral-atom scattering factors, no anomalous dispersion.

Crystal structure
=====

Source: CII CEO Snap Poll
There is a need to do a qualitative and quantitative impact analysis of the mitigation efforts to assess the viable economic scenario. CII has suggested a regular review of hotspots to barricade the containment zone and carry-on with the operations in the rest of the area. Bringing back the migrant workers to the manufacturing hubs is also key to reviving industrial processes, which must be coupled with demand creation. CII has been working with the government to bring back the economy on-track and protect the sustenance of millions.